Queen's Gate Prep School Girls

Junior School Pastoral Care

In keeping with our whole-school ethos, at Queen’s Gate Junior School we are renowned for our exceptional pastoral care. We understand that the wellbeing of our girls is fundamental to their school experiences, their ability to make strong academic and personal progress, and their readiness for the future.

Queen’s Gate Junior School is small in size, with just one class for each year from Reception to Year 5, enabling us to give our pupils a great deal of individual attention. Our family ethos ensures that each child is valued and nurtured; support and extension derive naturally from the close relationships that are built.

Queen’s Gate has access to two private green spaces at Stanhope and Queen’s Gate Gardens. Girls enjoy daily fresh air and a chance to run around during break time. Our co-curricular programme provides rich opportunities for happiness and collaboration whether it be through dance, food technology, mindfulness or art.

House System

Our House system enables us to provide an additional support network based on vertical integration within the School.

Membership of Victoria and Elizabeth Houses provides the opportunity for older and younger girls to collaborate closely and fosters healthy competition at events such as Sports Day, our Recycled Fashion Show, and our Christmastime ‘Winter Olympics’. This eclectic range of activities allows all girls to find their moment to shine. The Houses are led by two Year 6 House Captains, and House spirit is fierce – as anyone who has heard the cheering at the Swimming Gala will confirm.

Celebrations of Success

Personal success is celebrated on a regular basis, and the annual celebration of the year event provides the opportunity for parents to share in our girls’ achievements.

‘Merits’ are highly-valued rewards and are awarded not only for excellence but also for effort and kindness. Our twice-weekly assemblies provide another opportunity to promote achievement, whether that’s through our ‘Sports Star of the Week’ certificates, or by announcing that a pupil has won a competition outside of school. Each term ends with two special assemblies, one dedicated the awarding of sports certificates and colours, and the other to the girls’ other successes. Academic certificates and prizes are awarded both for attainment and progress, to ensure all girls feel valued and celebrated as learners.


Queen’s Gate Junior School girls are happy and self-reflective. Our Character Education programme celebrates a different character virtue each half-term, such as kindness and courage. Character Education is further developed and promoted through our assembly topics, which regularly consider values such as kindness, inclusion, courage and charitable giving.

The promotion of wellbeing and positive emotional and mental health underpins every decision we make at Queen’s Gate Junior School. Our specialist PSHE programme is designed to support the girls at every step of their journey through childhood and prepare them for the years to come. Being part of a through-school, we have the particular advantage of being able to liaise with colleagues in the Senior School and use their experiences to inform what we are delivering to our Junior School pupils, so they are as ready as possible for their teenage years. As well as regular PSHE lessons, we also enjoy an annual Wellbeing Week, individual ‘drop down’ days with outside specialists and regularly touch on the theme of wellbeing in our assemblies.

Our Relationships and Sex Education Programme is delivered as part of our PSHE provision. These lessons have been carefully designed to be fully age appropriate, while ensuring our girls are gaining the knowledge and understanding they need. Parents are always provided with full information ahead of any RSE lessons, and are given the opportunity to discuss the content with staff in advance.

That partnership with parents is something we develop further through our schedule of engaging and thought-provoking termly workshops. Parent feedback on topics they would like us to cover is always warmly welcomed.

Open Events

Junior School Spring Term Open Morning

Please click here to register for our next Open Morning which takes place on Monday 31 March 2025 at 9.15am

== Crystal structures, kept here for reference ==
'''
Calculated powder X-ray diffraction pattern
Compound: TaAlCoOs
Radiation: λ = 1.5418 Å (Cu Kα)
Structure: the GGA-PBE geometry in OQMD
Peak positions follow from Bragg's law for the DFT cell and can differ from measured ones.

Structural model:
```
data_TaAlCoOs
_chemical_formula_sum 'Ta4 Al4 Co4 Os4'
_space_group_name_H-M_alt 'F -4 3 m'
_space_group_IT_number 216
_space_group_name_Hall 'F -4 2 3'
_cell_length_a 6.1131
_cell_length_b 6.1131
_cell_length_c 6.1131
_cell_angle_alpha 90.00
_cell_angle_beta 90.00
_cell_angle_gamma 90.00
loop_
_atom_site_label
_atom_site_fract_x
_atom_site_fract_y
_atom_site_fract_z
_atom_site_occupancy
Ta1 0.0000 0.0000 0.0000 1
Al1 0.0000 0.0000 0.5000 1
Co1 0.2500 0.2500 0.7500 1
Os1 0.2500 0.2500 0.2500 1
```

Principal peaks in the range 2θ from 10° to 90°, in order of rising 2θ:
| Position (°2θ) | d (Å) | I/Imax | hkl |
| --- | --- | --- | --- |
| 25.2 | 3.529 | 460 | 1 1 1 |
| 29.2 | 3.057 | 12 | 2 0 0 |
| 41.8 | 2.161 | 1000 | 2 2 0 |
| 49.4 | 1.843 | 236 | 3 1 1 |
| 60.6 | 1.528 | 167 | 4 0 0 |
| 66.7 | 1.402 | 99 | 3 3 1 |
| 76.3 | 1.248 | 339 | 4 2 2 |
| 81.9 | 1.176 | 77 | 5 1 1 |


Calculated powder X-ray diffraction pattern
Compound: SrAl5CoPd
Radiation: λ = 1.5418 Å (Cu Kα)
Structure: the GGA-PBE geometry in OQMD
Peak positions follow from Bragg's law for the DFT cell and can differ from measured ones.

Structural model:
```
data_SrAl5CoPd
_chemical_formula_sum 'Sr2 Al10 Co2 Pd2'
_space_group_name_H-M_alt 'I m m 2'
_space_group_IT_number 44
_cell_length_a 4.0431
_cell_length_b 7.2723
_cell_length_c 9.9729
_cell_angle_alpha 90.00
_cell_angle_beta 90.00
_cell_angle_gamma 90.00
loop_
_space_group_symop_operation_xyz
'x,y,z'
'-x,-y,z'
'-x,y,z'
'x,-y,z'
'x+1/2,y+1/2,z+1/2'
'-x+1/2,-y+1/2,z+1/2'
'-x+1/2,y+1/2,z+1/2'
'x+1/2,-y+1/2,z+1/2'
loop_
_atom_site_label
_atom_site_fract_x
_atom_site_fract_y
_atom_site_fract_z
_atom_site_occupancy
Sr1 0.0000 0.0000 0.0000 1
Al1 0.0000 0.1806 0.3359 1
Al2 0.0000 0.1997 0.6563 1
Al3 0.0000 0.5000 0.9922 1
Co1 0.0000 0.5000 0.7652 1
Pd1 0.0000 0.5000 0.2344 1
```

Principal peaks in the range 2θ from 10° to 90°, in order of rising 2θ:
| Position (°2θ) | d (Å) | I/Imax | hkl |
| --- | --- | --- | --- |
| 17.8 | 4.986 | 228 | 0 0 2 |
| 24.5 | 3.636 | 437 | 0 2 0 |
| 29.5 | 3.023 | 311 | 0 1 3 |
| 31.0 | 2.883 | 1000 | 1 1 2 |
| 34.4 | 2.609 | 556 | 1 2 1 |
| 34.9 | 2.568 | 268 | 1 0 3 |
| 44.0 | 2.056 | 435 | 0 2 4 |
| 44.8 | 2.022 | 305 | 2 0 0 |
| 47.4 | 1.919 | 488 | 1 3 2 |
| 64.7 | 1.442 | 269 | 2 2 4 |


Calculated powder X-ray diffraction pattern
Compound: PrAl8Co2
Radiation: λ = 1.5418 Å (Cu Kα)
Structure: the GGA-PBE geometry in OQMD
Peak positions follow from Bragg's law for the DFT cell and can differ from measured ones.

Structural model:
```
data_PrAl8Co2
_chemical_formula_sum 'Pr4 Al32 Co8'
_space_group_name_H-M_alt 'P b a m'
_space_group_IT_number 55
_cell_length_a 12.4880
_cell_length_b 14.3898
_cell_length_c 4.0078
_cell_angle_alpha 90.00
'''


Senior School Summer Term Open Evening

Please click here to register for our next Open Evening which takes place on Thursday 24 April 2025 at 5.30pm